• Exercise:
Could you count the lines below that contain the word "Ho1" and give the number alone?

• Entries:
____________
Entry 1:
# BaNb2Fe4O12, optimized geometry, DFT PBE with a Hubbard U
data_BaNb2Fe4O12
_cell_length_a 10.136
_cell_length_b 10.136
_cell_length_c 8.945
_cell_angle_alpha 90.00
_cell_angle_beta 90.00
_cell_angle_gamma 90.00
_symmetry_space_group_name_H-M 'I 4/m'
_symmetry_Int_Tables_number 87
_symmetry_space_group_name_Hall '-I 4'
loop_
_atom_site_label
_atom_site_type_symbol
_atom_site_fract_x
_atom_site_fract_y
_atom_site_fract_z
_atom_site_occupancy
Ba1 Ba 0.000 0.000 0.216 1
Nb1 Nb 0.142 0.658 0.500 1
Fe1 Fe 0.153 0.672 0.167 1
O1 O 0.039 0.331 0.169 1
O2 O 0.048 0.339 0.500 1
O3 O 0.151 0.800 0.000 1
O4 O 0.157 0.802 0.333 1
# - V: 919.02 Å³ per cell
# - Calculated total energy: -7.477 eV per atom

=====

Entry 2:
# KHoW2O8, optimized geometry, DFT PBE with a Hubbard U
data_KHoW2O8
_cell_length_a 10.891
_cell_length_b 10.543
_cell_length_c 7.474
_cell_angle_alpha 90.00
_cell_angle_beta 130.33
_cell_angle_gamma 90.00
_symmetry_space_group_name_H-M 'C 1 2/c 1'
_symmetry_Int_Tables_number 15
_symmetry_space_group_name_Hall '-C 2yc'
loop_
_atom_site_label
_atom_site_type_symbol
_atom_site_fract_x
_atom_site_fract_y
_atom_site_fract_z
_atom_site_occupancy
K1 K 0.000 0.203 0.250 1
Ho1 Ho 0.000 0.224 0.750 1
W1 W 0.197 0.496 0.722 1
O1 O 0.020 0.389 0.967 1
O2 O 0.128 0.087 0.686 1
O3 O 0.190 0.431 0.445 1
O4 O 0.217 0.157 0.122 1
# - V: 654.21 Å³ per cell
# - Calculated total energy: -7.419 eV per atom

=====

It is found that the total energy after the MP2020 corrections values, taken in the order of the records, are -8.3860, -8.6162 eV/atom.
It is found that the energy of formation from the pure elements values, taken in the order of the records, are -2.31, -2.68 eV per atom.


V4O3F9: relaxed, PBE with a Hubbard U.

Computed properties:
The energy above the most stable polymorph in this dataset comes out at 9.9 meV per atom.

Structure (CIF):
```
data_V4O3F9
_symmetry_space_group_name_H-M 'P 1'
_symmetry_Int_Tables_number 1
_symmetry_space_group_name_Hall 'P 1'
_cell_length_a 5.209
_cell_length_b 5.397
_cell_length_c 9.056
_cell_angle_alpha 73.01
_cell_angle_beta 74.91
_cell_angle_gamma 61.98
loop_
_atom_site_label
_atom_site_type_symbol
_atom_site_fract_x
_atom_site_fract_y
_atom_site_fract_z
_atom_site_occupancy
V1 V 0.000 0.000 0.000 1
V2 V 0.241 0.241 0.256 1
V3 V 0.485 0.485 0.495 1
V4 V 0.731 0.729 0.732 1
O1 O 0.143 0.144 0.079 1
O2 O 0.316 0.317 0.403 1
O3 O 0.657 0.654 0.584 1
F1 F 0.161 0.560 0.671 1
F2 F 0.209 0.603 0.110 1
F3 F 0.257 0.861 0.370 1
F4 F 0.309 0.916 0.819 1
F5 F 0.656 0.047 0.165 1
F6 F 0.714 0.109 0.619 1
F7 F 0.758 0.361 0.872 1
F8 F 0.811 0.409 0.319 1
F9 F 0.817 0.818 0.909 1
```

***

MgV4O7F5: relaxed, PBE with a Hubbard U.

Computed properties:
The energy above the most stable polymorph in this dataset comes out at 24.4 meV per atom.

Structure (CIF):
```
data_MgV4O7F5
_symmetry_space_group_name_H-M 'P 1'
_symmetry_Int_Tables_number 1
_symmetry_space_group_name_Hall 'P 1'
_cell_length_a 5.162
_cell_length_b 5.424
_cell_length_c 8.975
_cell_angle_alpha 73.16
_cell_angle_beta 89.54
_cell_angle_gamma 62.37
loop_
_atom_site_label
_atom_site_type_symbol
_atom_site_fract_x
_atom_site_fract_y
_atom_site_fract_z
_atom_site_occupancy
Mg1 Mg 0.000 0.000 0.000 1
V1 V 0.011 0.923 0.381 1
V2 V 0.335 0.381 0.123 1
V3 V 0.589 0.835 0.853 1
V4 V 0.703 0.413 0.597 1
O1 O 0.430 0.670 0.029 1
O2 O 0.431 0.646 0.441 1
O3 O 0.594 0.135 0.284 1
O4 O 0.595 0.603 0.736 1
O5 O 0.622 0.134 0.681 1
O6 O 0.951 0.656 0.944 1
O7 O 0.986 0.155 0.479 1
F1 F 0.050 0.680 0.220 1
F2 F 0.087 0.149 0.166 1
F3 F 0.136 0.132 0.801 1
____________

• Reply:
1